Utah’s Last Chance to Identify Eligible Locations for Broadband, Equity, Access, and Deployment (BEAD) Federal Grant Funding
The Utah Broadband Center will host a statewide broadband challenge process to identify locations without reliable high-speed broadband internet in early 2024. These locations will be eligible for future Broadband Equity, Access, and Deployment (BEAD) grant funds to install broadband infrastructure. “BEAD-eligible locations” refer to homes, businesses, and certain public facilities without reliable high-speed internet access. UBC will use the Federal Communication Commission’s (FCC) broadband map and definition of “unserved” and “underserved” to create a map of broadband serviceable locations in Utah.
The Utah Broadband Center (UBC) will allow eligible entities to challenge the accuracy of the BEAD-eligible locations in Utah. Eligible entities, which include local and Tribal governments, nonprofits, and internet service providers, will be able to view this map and challenge the designation of these locations.
Here's what you need to know:​
The BEAD State Challenge Process will begin once Utah's Initial Proposal Volume 1 has obtained NTIA approval. Preparing for the challenge can take time, so we encourage participants to start now. Eligible entities are encouraged to pre-register for State Broadband Challenge Portal access here.
For general information regarding the challenge process, see the BEAD Challenge Fact Sheet here. For more information and training regarding the broadband availability challenge process, view our latest Connecting Utah Call.
View recorded calls below:
Who can participate?
The following parties are allowed to submit challenges per the NTIA:
Non-profit organizations
Units of local and Tribal governments
Internet Service Providers
How to get involved: ​
Submit Speed Tests
UBC has started accepting individual challenges as of February 6th. The date for area or bulk challenge submissions will be announced. If your entity will be submitting area speed test challenges and/or are a recipient of the Transcend International grant, please review “Guidance for Area Speed Test Challenges” below.​
​Individual Speed Test Challenges
To successfully submit a speed test, individuals must submit the speed test survey 3 different times, on 3 different days, with the same internet service provider and at the same address. Visit the bottom of the portal page or select the direct link to the speed test survey below.
Register for the Challenge Process Portal
​This portal includes registration for eligible entities and speed test surveys for individuals.
Review the BEAD Challenge Process Fact Sheet
Review Utah’s Initial Proposal Volume 1
Someone pasted materials data at this point.
┌──
Mn4Ga3Co8Ge: optimized geometry, PBE.

Cell: 13.4120 13.4120 13.4120 Å, 17.35 17.35 17.35°
Last column: nearest neighbours and their distance in Å.
Atoms (fractional coordinates):
Co: 0.9379 0.9379 0.9379  1 Ge 2.46, 4 Mn 2.47-2.50, 3 Ga 2.48
Co: 0.0621 0.0621 0.0621  1 Ge 2.46, 4 Mn 2.47-2.50, 3 Ga 2.48
Ga: 0.2499 0.2499 0.2499  8 Co 2.47-2.51
Mn: 0.3756 0.3756 0.3756  8 Co 2.44-2.49
Co: 0.5628 0.5628 0.5628  4 Mn 2.44-2.48, 4 Ga 2.47-2.49
Mn: 0.1251 0.1251 0.1251  8 Co 2.47-2.50
Co: 0.6869 0.6869 0.6869  3 Ge 2.47, 4 Mn 2.47-2.49, 1 Ga 2.51
Co: 0.8125 0.8125 0.8125  4 Ga 2.47-2.48, 4 Mn 2.47-2.48
Ga: 0.7501 0.7501 0.7501  8 Co 2.47-2.51
Mn: 0.6244 0.6244 0.6244  8 Co 2.44-2.49
Co: 0.1875 0.1875 0.1875  4 Ga 2.47-2.48, 4 Mn 2.47-2.48
Ga: 0.5000 0.5000 0.5000  8 Co 2.48-2.49
Ge: 0.0000 0.0000 0.0000  8 Co 2.46-2.47
Co: 0.3131 0.3131 0.3131  3 Ge 2.47, 4 Mn 2.47-2.49, 1 Ga 2.51
Mn: 0.8749 0.8749 0.8749  8 Co 2.47-2.50
Co: 0.4372 0.4372 0.4372  4 Mn 2.44-2.48, 4 Ga 2.47-2.49

Summary:
Symmetry: No. 166
M_tot (μB/cell): 17.1
Crystal system: trigonal
Energy relative to the elements (eV/atom): -0.25

=====

Zr6Ga2CoH10: optimized geometry, PBE.

Cell: 8.0613 8.0613 7.1925 Å, 90.00 90.00 120.00°
Last column: nearest neighbours and their distance in Å.
Atoms (fractional coordinates):
Ga: 0.3333 0.6667 0.4487  1 Ga 2.86, 6 H 2.90-2.94, 9 Zr 3.04-3.12
H: 0.8802 0.1226 0.7500  1 Co 1.69
Zr: 0.0000 0.7382 0.0000  7 H 2.09-2.20
Zr: 0.7382 0.0000 0.0000  7 H 2.09-2.20
Ga: 0.6667 0.3333 0.9487  1 Ga 2.86, 6 H 2.90-2.94, 9 Zr 3.04-3.12
H: 0.2425 0.1198 0.7500  1 Co 1.69
Co: 0.0000 0.0000 0.2500  5 H 1.69-1.80
H: 0.1180 0.7091 0.7500  4 Zr 2.04-2.10, 1 H 2.16
Co: 0.0000 0.0000 0.7500  5 H 1.69-1.80
Ga: 0.6667 0.3333 0.5513  1 Ga 2.86, 6 H 2.90-2.94, 9 Zr 3.04-3.12
H: 0.1226 0.8802 0.2500  1 Co 1.69
Zr: 0.0465 0.4243 0.7500  5 H 2.04-2.11
H: 0.2818 0.0000 0.5000  4 Zr 2.06-2.20, 3 H 2.14-2.27
Zr: 0.5757 0.6222 0.7500  5 H 2.04-2.11
H: 0.0000 0.0000 0.5000  2 Co 1.80
Zr: 0.4243 0.0465 0.2500  5 H 2.04-2.11
H: 0.0000 0.0000 0.0000  2 Co 1.80
H: 0.5912 0.8820 0.7500  4 Zr 2.04-2.10, 1 H 2.16
Zr: 0.2618 0.2618 0.5000  7 H 2.09-2.20
Ga: 0.3333 0.6667 0.0513  1 Ga 2.86, 6 H 2.90-2.94, 9 Zr 3.04-3.12
H: 0.1198 0.2425 0.2500  1 Co 1.69
H: 0.7182 0.7182 0.0000  4 Zr 2.06-2.20, 3 H 2.14-2.27
H: 0.2909 0.4088 0.7500  4 Zr 2.04-2.10, 1 H 2.16
H: 0.7182 0.7182 0.5000  4 Zr 2.06-2.20, 3 H 2.14-2.27
H: 0.7575 0.8774 0.2500  1 Co 1.69
H: 0.2818 0.0000 0.0000  4 Zr 2.06-2.20, 3 H 2.14-2.27
H: 0.0000 0.2818 0.0000  4 Zr 2.06-2.20, 3 H 2.14-2.27
H: 0.8774 0.7575 0.7500  1 Co 1.69
H: 0.8820 0.5912 0.2500  4 Zr 2.04-2.10, 1 H 2.16
Zr: 0.3778 0.9535 0.7500  5 H 2.04-2.11
Zr: 0.6222 0.5757 0.2500  5 H 2.04-2.11
H: 0.4088 0.2909 0.2500  4 Zr 2.04-2.10, 1 H 2.16
Zr: 0.2618 0.2618 0.0000  7 H 2.09-2.20
Zr: 0.7382 0.0000 0.5000  7 H 2.09-2.20
Zr: 0.0000 0.7382 0.5000  7 H 2.09-2.20
H: 0.0000 0.2818 0.5000  4 Zr 2.06-2.20, 3 H 2.14-2.27
H: 0.7091 0.1180 0.2500  4 Zr 2.04-2.10, 1 H 2.16
└──
The Initial Proposal Volume 1 outlines the State Challenge Process. If your entity plans to submit challenges or expects to receive challenges requiring rebuttal, such as internet service providers, please carefully review the process.
Attend town halls, webinars, and trainings
View recorded webinars:
Click to download presentation slides
Contact for questions: sdasaro@utah.gov
Click to download presentation slides
Contact for questions: sgreene@utah.gov
Request a free CostQuest Map Fabric License
To fully participate in the State Challenge Process, eligible challengers should acquire a National Telecommunications Information Administration (NTIA) Fabric License from CostQuest Associates. This will ensure the Utah Broadband Center can share the FCC’s Fabric Location data with the challenger. Importantly, the NTIA Fabric License differs from the FCC Fabric License. Visit the NTIA Fabric Licensing FAQ to learn more. Please use the following resources to request the appropriate license for your organization. Licenses should be requested as soon as possible to prepare for the challenge window.
The application process for the license varies based on the type of organization.
If your organization is a local or Tribal government, or nonprofit, you will need a Tier E License: https://apps.costquest.com/ntiatiererequest/
If your organization is an internet service provider, you will need a Tier D license: https://apps.costquest.com/ntiarequest/
Refer to these slides for detailed instructions on requesting a license. Additionally, to stay updated on the State Challenge Process, please email connectingutah@utah.gov to subscribe to UBC’s newsletter and upcoming announcements.
Guidance for Area Speed Test Challenges
If you are an eligible entity that plans to submit challenges on behalf of a county, district or region by census block during the Utah Broadband Availability Challenge Process, please review the guidance on this process.
Entity will need at least 6 households in each census block
Each household will need to run 3 different speed tests on 3 different days
The speed tests must be run with the same internet service provider, or they will not be accepted
Households must be subscribed to the highest speed service tier available